Input:
........
[1]
Theoretical X-ray diffraction stick pattern of PaNi6Sn for copper Kα, from a structure optimized by DFT (PBE).

Structure:
Unit cell a=5.3399 b=5.3399 c=4.4062 alpha=90.00 beta=90.00 gamma=120.00
Space group P-6m2 (No. 187)
Symmetry-distinct sites (fractional):
Pa: 0.0000 0.0000 0.0000 [1 per cell]
Ni: 0.3542 0.1771 0.5000 [3 per cell]
Ni: 0.5073 0.0147 0.0000 [3 per cell]
Sn: 0.3333 0.6667 0.5000 [1 per cell]

Most intense lines, 10° ≤ 2θ ≤ 90°, in order of rising 2θ:
Position (°2θ), I/Imax, h k l
28.0, 37, 1 0 1
39.0, 25, 2 0 0
41.0, 28, 0 0 2
44.2, 100, 2 0 1
57.8, 16, 2 0 2
70.5, 16, 2 2 0
76.9, 19, 2 0 3
84.9, 19, 2 2 2

***

[2]
Theoretical X-ray diffraction stick pattern of Ca2Al3Ag5 for copper Kα, from a structure optimized by DFT (PBE).

Structure:
Unit cell a=10.5382 b=13.7334 c=5.7692 alpha=90.00 beta=90.00 gamma=90.00
Space group Ibam (No. 72)
Symmetry-distinct sites (fractional):
Ca: 0.2288 0.1494 0.0000 [8 per cell]
Al: 0.0000 0.5000 0.2500 [4 per cell]
Al: 0.0793 0.1514 0.5000 [8 per cell]
Ag: 0.0000 0.0000 0.2500 [4 per cell]
Ag: 0.0000 0.3019 0.2500 [8 per cell]
Ag: 0.1908 0.4202 0.0000 [8 per cell]

Most intense lines, 10° ≤ 2θ ≤ 90°, in order of rising 2θ:
Position (°2θ), I/Imax, h k l
21.2, 61, 1 3 0
31.1, 41, 2 4 0
31.5, 41, 1 4 1
32.1, 38, 3 3 0
34.0, 31, 4 0 0
35.5, 100, 2 0 2
37.8, 55, 1 3 2
40.9, 32, 0 4 2

~~~~~

# Li3VO2F2
Theoretical powder XRD pattern, Cu Kα (weighted mean of Kα1 and Kα2). Input: a PBE+U-relaxed structure.

The 6 most intense peaks (10 to 90 degrees two-theta), low angle first:
2θ = 18.34°, d = 4.837 Å, I = 100
2θ = 30.40°, d = 2.940 Å, I = 30
2θ = 35.77°, d = 2.510 Å, I = 25
2θ = 42.62°, d = 2.121 Å, I = 39
2θ = 43.53°, d = 2.079 Å, I = 72
2θ = 62.56°, d = 1.485 Å, I = 40

Crystal structure
```
Li3VO2F2
1.0
5.888 0.000 0.000
0.000 8.486 0.000
0.000 0.000 2.936
Li V O F
6 2 4 4
Direct
0.000 0.000 0.000
0.250 0.250 0.500
0.250 0.750 0.500
0.500 0.500 0.000
0.750 0.250 0.500
0.750 0.750 0.500
0.000 0.500 0.000
0.500 0.000 0.000
0.234 0.500 0.500
0.266 0.000 0.500
0.734 0.000 0.500
0.766 0.500 0.500
0.000 0.252 0.000
0.000 0.748 0.000
0.500 0.248 0.000
0.500 0.752 0.000
```
........

Wanted:
Please start at the top of the entries further up and type out each line, ending with the one that has "Sn: 0.3333".

Written answer:
[1]
Theoretical X-ray diffraction stick pattern of PaNi6Sn for copper Kα, from a structure optimized by DFT (PBE).

Structure:
Unit cell a=5.3399 b=5.3399 c=4.4062 alpha=90.00 beta=90.00 gamma=120.00
Space group P-6m2 (No. 187)
Symmetry-distinct sites (fractional):
Pa: 0.0000 0.0000 0.0000 [1 per cell]
Ni: 0.3542 0.1771 0.5000 [3 per cell]
Ni: 0.5073 0.0147 0.0000 [3 per cell]
Sn: 0.3333 0.6667 0.5000 [1 per cell]